Wanted:
Restate every line underneath that contains the word "fractional".
File:
# 1
This entry pairs a crystal structure of Pm6Se2S3 with its simulated powder diffractogram. Radiation: λ = 1.5418 Å (Cu Kα). Structure: a cell relaxed with GGA-PBE.
Lines closer than 0.1° are merged.

Crystal structure
a = 20.2007 Å, b = 20.2007 Å, c = 20.2007 Å
α = 11.50°, β = 11.50°, γ = 11.50°
Element x y z (fractional)
Pm 0.0814 0.0814 0.0814
Pm 0.1910 0.1910 0.1910
Pm 0.3607 0.3607 0.3607
Pm 0.6393 0.6393 0.6393
Pm 0.8090 0.8090 0.8090
Pm 0.9186 0.9186 0.9186
Se 0.4450 0.4450 0.4450
Se 0.5550 0.5550 0.5550
S 0.0000 0.0000 0.0000
S 0.2788 0.2788 0.2788
S 0.7212 0.7212 0.7212

Largest 10 diffraction maxima, in order of rising 2θ, 2θ = 5–70°:
Position (°2θ)	I_rel
26.7	17
27.5	32
28.1	15
30.3	100
33.0	16
41.9	13
44.8	46
45.7	23
52.9	16
55.0	18

---

# 2
This entry pairs a crystal structure of NaTl10Sn2 with its simulated powder diffractogram. Radiation: λ = 1.5418 Å (Cu Kα). Structure: a cell relaxed with GGA-PBE.
Lines closer than 0.1° are merged.

Crystal structure
a = 11.3785 Å, b = 8.7949 Å, c = 8.5435 Å
α = 82.02°, β = 49.95°, γ = 48.04°
Element x y z (fractional)
Na 0.0000 0.0000 0.0000
Tl 0.0000 0.0000 0.5000
Tl 0.0055 0.3523 0.6477
Tl 0.2906 0.4970 0.5030
Tl 0.3523 0.0055 0.9945
Tl 0.4970 0.2906 0.7094
Tl 0.5000 0.5000 0.0000
Tl 0.5030 0.7094 0.2906
Tl 0.6477 0.9945 0.0055
Tl 0.7094 0.5030 0.4970
Tl 0.9945 0.6477 0.3523
Sn 0.0000 0.5000 0.0000
Sn 0.5000 0.0000 0.5000

Largest 10 diffraction maxima, in order of rising 2θ, 2θ = 5–70°:
Position (°2θ)	I_rel
27.3	67
31.2	93
31.5	91
31.9	100
32.0	76
35.1	60
35.4	85
35.8	56
35.9	90
56.3	68

---

# 3
This entry pairs a crystal structure of PmPu2Re9 with its simulated powder diffractogram. Radiation: λ = 1.5418 Å (Cu Kα). Structure: a cell relaxed with GGA-PBE.
Lines closer than 0.1° are merged.

Crystal structure
a = 9.4679 Å, b = 9.4679 Å, c = 9.4679 Å
α = 32.75°, β = 32.75°, γ = 32.75°
Element x y z (fractional)
Pm 0.0000 0.0000 0.0000
Pu 0.1453 0.1453 0.1453
Pu 0.8547 0.8547 0.8547
Re 0.0786 0.5858 0.5858
Re 0.3353 0.3353 0.3353
Re 0.4142 0.4142 0.9214
Re 0.4142 0.9214 0.4142
Re 0.5000 0.5000 0.5000
Re 0.5858 0.0786 0.5858
Re 0.5858 0.5858 0.0786
Re 0.6647 0.6647 0.6647
Re 0.9214 0.4142 0.4142

Largest 10 diffraction maxima, in order of rising 2θ, 2θ = 5–70°:
Position (°2θ)	I_rel
30.3	14
33.0	16
33.6	25
39.1	27
39.3	100
40.3	25
41.3	16
41.8	16
42.6	31
63.9	25

---

# 4
This entry pairs a crystal structure of Ge2RuC4Cl6O4 with its simulated powder diffractogram. Radiation: λ = 1.5418 Å (Cu Kα). Structure: a cell relaxed with GGA-PBE.
Lines closer than 0.1° are merged.

Crystal structure
a = 8.7754 Å, b = 10.7276 Å, c = 12.5211 Å
α = 90.00°, β = 129.80°, γ = 90.00°
Element x y z (fractional)
Ge 0.2133 0.1641 0.0052
Ge 0.2133 0.3359 0.5052
Ge 0.7867 0.6641 0.4948
Ge 0.7867 0.8359 0.9948
Ru 0.0000 0.0000 0.0000
Ru 0.0000 0.5000 0.5000
C 0.1395 0.6280 0.4788
C 0.1395 0.8720 0.9788
C 0.1956 0.5166 0.7035
C 0.1956 0.9834 0.2035
C 0.8044 0.0166 0.7965
C 0.8044 0.4834 0.2965
C 0.8605 0.1280 0.0212
C 0.8605 0.3720 0.5212
Cl 0.1192 0.1427 0.4839
Cl 0.1192 0.3573 0.9839
Cl 0.2282 0.1416 0.8382
Cl 0.2282 0.3584 0.3382
Cl 0.4758 0.6619 0.3051
Cl 0.4758 0.8381 0.8051
Cl 0.5242 0.1619 0.1949
Cl 0.5242 0.3381 0.6949
Cl 0.7718 0.6416 0.6618
Cl 0.7718 0.8584 0.1618
Cl 0.8808 0.6427 0.0161
Cl 0.8808 0.8573 0.5161
O 0.2205 0.7021 0.4656
O 0.2205 0.7979 0.9656
O 0.3087 0.5259 0.8222
O 0.3087 0.9741 0.3222
O 0.6913 0.0259 0.6778
O 0.6913 0.4741 0.1778
O 0.7795 0.2021 0.0344
O 0.7795 0.2979 0.5344

Largest 10 diffraction maxima, in order of rising 2θ, 2θ = 5–70°:
Position (°2θ)	I_rel
12.4	100
13.1	53
14.2	25
15.5	41
16.4	36
18.4	34
26.3	33
26.9	25
28.9	24
33.2	23

---

# 5
This entry pairs a crystal structure of Cs2NaGa2H6 with its simulated powder diffractogram. Radiation: λ = 1.5418 Å (Cu Kα). Structure: a cell relaxed with GGA-PBE.
Lines closer than 0.1° are merged.

Crystal structure
a = 6.6050 Å, b = 6.6050 Å, c = 7.9820 Å
α = 122.77°, β = 122.77°, γ = 55.00°
Element x y z (fractional)
Outcome:
Element x y z (fractional)
Element x y z (fractional)
Element x y z (fractional)
Element x y z (fractional)
Element x y z (fractional)